Your job: transcribe the notes underneath character by character.
<<<
(1)
{"formula": "C27H51ClFIN3O5", "method": "ωB97M-V/def2-TZVPD", "symbols": ["C", "C", "C", "Cl", "C", "C", "C", "C", "F", "C", "N", "C", "N", "C", "C", "O", "I", "N", "H", "H", "H", "H", "H", "H", "H", "H", "H", "H", "H", "H", "H", "H", "H", "H", "H", "H", "H", "C", "C", "C", "O", "C", "H", "H", "H", "H", "H", "H", "H", "H", "C", "C", "C", "O", "C", "H", "H", "H", "H", "H", "H", "H", "H", "C", "C", "C", "O", "C", "H", "H", "H", "H", "H", "H", "H", "H", "C", "C", "C", "O", "C", "H", "H", "H", "H", "H", "H", "H", "H"], "coordinates": [[5.6333, 1.8789, 2.3632], [4.7571, 0.6137, 2.3199], [3.2915, 0.7969, 1.7881], [3.1383, 2.4225, 1.0424], [2.7990, -0.2838, 0.8142], [1.3814, 0.1759, 0.3328], [1.3246, 0.7756, -1.0918], [0.5407, 2.0998, -1.1505], [-0.7312, 1.8959, -1.6322], [3.7921, -0.7252, -0.2613], [4.5056, -1.8946, 0.3141], [3.7820, -2.2454, 1.4168], [4.1844, -3.0716, 2.3129], [5.4804, -3.7249, 2.3079], [6.2298, -3.2539, 3.5816], [5.6536, -2.8960, 4.4938], [8.3781, -3.2588, 3.5504], [2.5296, -1.6166, 1.4471], [5.9296, 2.2171, 1.3748], [6.5553, 1.5841, 2.8779], [5.1953, 2.6719, 2.9632], [4.6935, 0.2815, 3.3606], [5.3303, -0.1516, 1.7910], [2.6531, 0.8221, 2.6686], [0.9597, 0.8614, 1.0643], [0.7091, -0.6861, 0.3382], [0.8205, 0.0668, -1.7687], [2.2989, 0.9852, -1.5368], [1.0784, 2.7905, -1.8037], [0.5048, 2.5771, -0.1690], [3.2512, -1.0233, -1.1590], [4.4395, 0.1225, -0.4929], [5.4640, -1.6270, 0.5210], [3.5356, -3.2259, 3.0796], [5.3892, -4.8109, 2.2667], [6.0985, -3.4330, 1.4627], [2.0017, -2.2450, 0.8349], [1.9587, 3.9485, 5.9706], [0.9433, 4.6446, 5.0747], [1.4919, 4.3467, 3.6885], [2.1569, 3.0778, 3.7747], [2.2964, 2.7113, 5.1547], [1.5797, 3.7109, 6.9633], [2.8457, 4.5760, 6.0852], [-0.0388, 4.1815, 5.1968], [0.8429, 5.7108, 5.2700], [2.2291, 5.0959, 3.3822], [0.7117, 4.2971, 2.9280], [1.5949, 1.8954, 5.3625], [3.3117, 2.3513, 5.3352], [-2.1908, -0.2300, -4.9700], [-1.1812, -0.6914, -6.0119], [0.1245, -0.6154, -5.2366], [-0.1959, -0.8776, -3.8640], [-1.6232, -0.8321, -3.6968], [-3.2110, -0.5534, -5.1719], [-2.1846, 0.8613, -4.9044], [-1.3882, -1.7255, -6.2977], [-1.1729, -0.0840, -6.9158], [0.5649, 0.3859, -5.2981], [0.8626, -1.3410, -5.5822], [-1.9807, -1.8552, -3.5488], [-1.8683, -0.2471, -2.8092], [-5.2799, -4.2781, -0.6507], [-3.9809, -3.9769, 0.0802], [-3.1386, -3.3579, -1.0236], [-4.0412, -2.6958, -1.9134], [-5.3861, -3.0924, -1.5956], [-6.1422, -4.3741, 0.0072], [-5.1806, -5.2053, -1.2208], [-4.1606, -3.2434, 0.8702], [-3.5149, -4.8537, 0.5294], [-2.6031, -4.1268, -1.5928], [-2.4110, -2.6367, -0.6438], [-5.8828, -2.2446, -1.1142], [-5.9228, -3.3334, -2.5139], [-6.6548, 2.5002, -2.3785], [-5.8108, 1.6128, -3.2842], [-5.4595, 0.4643, -2.3521], [-6.5491, 0.3309, -1.4331], [-7.4081, 1.4714, -1.5485], [-7.3163, 3.1769, -2.9177], [-6.0054, 3.0986, -1.7345], [-6.4171, 1.2479, -4.1172], [-4.9330, 2.1105, -3.6952], [-4.5548, 0.6834, -1.7740], [-5.3117, -0.4769, -2.8823], [-8.3287, 1.1546, -2.0497], [-7.6637, 1.8367, -0.5531]], "mulliken_charge": [-1.63, -0.12, -0.61, -0.14, 1.91, -1.81, -0.37, -0.52, -0.29, -1.35, -0.36, 0.13, -0.08, -0.68, 0.35, -0.36, 0.09, -0.54, 0.37, 0.47, 0.34, 0.28, -0.04, 0.70, 0.55, 0.56, 0.26, 0.51, 0.31, 0.23, 0.57, 0.26, 0.44, 0.30, 0.40, 0.37, 0.41, -0.63, -0.60, -0.49, -0.11, -0.51, 0.35, 0.29, 0.27, 0.36, 0.30, 0.25, 0.31, 0.28, -0.51, -0.68, -0.51, -0.39, 0.24, 0.32, 0.24, 0.26, 0.36, 0.29, 0.29, -0.10, 0.18, -0.63, -0.60, -0.23, -0.25, -0.40, 0.34, 0.27, 0.28, 0.35, 0.33, 0.03, 0.26, 0.30, -0.59, -0.53, 0.07, -0.38, -0.55, 0.35, 0.26, 0.32, 0.32, 0.09, 0.06, 0.29, 0.27], "e_tot_ev": -66866.2281, "charge": 1, "e_lumo_ev": -3.1392, "orbital_gap_ev": 7.510}

(2)
>>>
(1)
{"formula": "C27H51ClFIN3O5", "method": "ωB97M-V/def2-TZVPD", "symbols": ["C", "C", "C", "Cl", "C", "C", "C", "C", "F", "C", "N", "C", "N", "C", "C", "O", "I", "N", "H", "H", "H", "H", "H", "H", "H", "H", "H", "H", "H", "H", "H", "H", "H", "H", "H", "H", "H", "C", "C", "C", "O", "C", "H", "H", "H", "H", "H", "H", "H", "H", "C", "C", "C", "O", "C", "H", "H", "H", "H", "H", "H", "H", "H", "C", "C", "C", "O", "C", "H", "H", "H", "H", "H", "H", "H", "H", "C", "C", "C", "O", "C", "H", "H", "H", "H", "H", "H", "H", "H"], "coordinates": [[5.6333, 1.8789, 2.3632], [4.7571, 0.6137, 2.3199], [3.2915, 0.7969, 1.7881], [3.1383, 2.4225, 1.0424], [2.7990, -0.2838, 0.8142], [1.3814, 0.1759, 0.3328], [1.3246, 0.7756, -1.0918], [0.5407, 2.0998, -1.1505], [-0.7312, 1.8959, -1.6322], [3.7921, -0.7252, -0.2613], [4.5056, -1.8946, 0.3141], [3.7820, -2.2454, 1.4168], [4.1844, -3.0716, 2.3129], [5.4804, -3.7249, 2.3079], [6.2298, -3.2539, 3.5816], [5.6536, -2.8960, 4.4938], [8.3781, -3.2588, 3.5504], [2.5296, -1.6166, 1.4471], [5.9296, 2.2171, 1.3748], [6.5553, 1.5841, 2.8779], [5.1953, 2.6719, 2.9632], [4.6935, 0.2815, 3.3606], [5.3303, -0.1516, 1.7910], [2.6531, 0.8221, 2.6686], [0.9597, 0.8614, 1.0643], [0.7091, -0.6861, 0.3382], [0.8205, 0.0668, -1.7687], [2.2989, 0.9852, -1.5368], [1.0784, 2.7905, -1.8037], [0.5048, 2.5771, -0.1690], [3.2512, -1.0233, -1.1590], [4.4395, 0.1225, -0.4929], [5.4640, -1.6270, 0.5210], [3.5356, -3.2259, 3.0796], [5.3892, -4.8109, 2.2667], [6.0985, -3.4330, 1.4627], [2.0017, -2.2450, 0.8349], [1.9587, 3.9485, 5.9706], [0.9433, 4.6446, 5.0747], [1.4919, 4.3467, 3.6885], [2.1569, 3.0778, 3.7747], [2.2964, 2.7113, 5.1547], [1.5797, 3.7109, 6.9633], [2.8457, 4.5760, 6.0852], [-0.0388, 4.1815, 5.1968], [0.8429, 5.7108, 5.2700], [2.2291, 5.0959, 3.3822], [0.7117, 4.2971, 2.9280], [1.5949, 1.8954, 5.3625], [3.3117, 2.3513, 5.3352], [-2.1908, -0.2300, -4.9700], [-1.1812, -0.6914, -6.0119], [0.1245, -0.6154, -5.2366], [-0.1959, -0.8776, -3.8640], [-1.6232, -0.8321, -3.6968], [-3.2110, -0.5534, -5.1719], [-2.1846, 0.8613, -4.9044], [-1.3882, -1.7255, -6.2977], [-1.1729, -0.0840, -6.9158], [0.5649, 0.3859, -5.2981], [0.8626, -1.3410, -5.5822], [-1.9807, -1.8552, -3.5488], [-1.8683, -0.2471, -2.8092], [-5.2799, -4.2781, -0.6507], [-3.9809, -3.9769, 0.0802], [-3.1386, -3.3579, -1.0236], [-4.0412, -2.6958, -1.9134], [-5.3861, -3.0924, -1.5956], [-6.1422, -4.3741, 0.0072], [-5.1806, -5.2053, -1.2208], [-4.1606, -3.2434, 0.8702], [-3.5149, -4.8537, 0.5294], [-2.6031, -4.1268, -1.5928], [-2.4110, -2.6367, -0.6438], [-5.8828, -2.2446, -1.1142], [-5.9228, -3.3334, -2.5139], [-6.6548, 2.5002, -2.3785], [-5.8108, 1.6128, -3.2842], [-5.4595, 0.4643, -2.3521], [-6.5491, 0.3309, -1.4331], [-7.4081, 1.4714, -1.5485], [-7.3163, 3.1769, -2.9177], [-6.0054, 3.0986, -1.7345], [-6.4171, 1.2479, -4.1172], [-4.9330, 2.1105, -3.6952], [-4.5548, 0.6834, -1.7740], [-5.3117, -0.4769, -2.8823], [-8.3287, 1.1546, -2.0497], [-7.6637, 1.8367, -0.5531]], "mulliken_charge": [-1.63, -0.12, -0.61, -0.14, 1.91, -1.81, -0.37, -0.52, -0.29, -1.35, -0.36, 0.13, -0.08, -0.68, 0.35, -0.36, 0.09, -0.54, 0.37, 0.47, 0.34, 0.28, -0.04, 0.70, 0.55, 0.56, 0.26, 0.51, 0.31, 0.23, 0.57, 0.26, 0.44, 0.30, 0.40, 0.37, 0.41, -0.63, -0.60, -0.49, -0.11, -0.51, 0.35, 0.29, 0.27, 0.36, 0.30, 0.25, 0.31, 0.28, -0.51, -0.68, -0.51, -0.39, 0.24, 0.32, 0.24, 0.26, 0.36, 0.29, 0.29, -0.10, 0.18, -0.63, -0.60, -0.23, -0.25, -0.40, 0.34, 0.27, 0.28, 0.35, 0.33, 0.03, 0.26, 0.30, -0.59, -0.53, 0.07, -0.38, -0.55, 0.35, 0.26, 0.32, 0.32, 0.09, 0.06, 0.29, 0.27], "e_tot_ev": -66866.2281, "charge": 1, "e_lumo_ev": -3.1392, "orbital_gap_ev": 7.510}

(2)